## Listing
-- begin --
1.
For LiO8, a PBE-relaxed structure gives the calculated PXRD pattern in this record (a wavelength of 1.5418 Å).
Intensities are scaled so that the largest is 100.

Structure:
Lattice parameters (Å, degrees): 4.6259 5.2703 5.6509 103.25 108.53 110.65
Fractional coordinates of all 9 atoms:
Li1 0.0000 0.0000 0.0000
O1 0.1220 0.2267 0.6029
O2 0.1386 0.6318 0.6104
O3 0.4184 0.9529 0.1997
O4 0.5072 0.4049 0.2644
O5 0.6423 0.9977 0.1086
O6 0.7346 0.4405 0.1842
O7 0.9008 0.1726 0.6922
O8 0.9194 0.6020 0.6988

Peak list (10 most intense, 5 to 70 degrees two-theta, by angle)
| 2θ (°) | d_spacing | I_rel |
| --- | --- | --- |
| 19.50 | 4.552 | 11.1 |
| 20.83 | 4.265 | 25.3 |
| 22.03 | 4.035 | 100.0 |
| 22.17 | 4.009 | 12.9 |
| 35.02 | 2.562 | 58.7 |
| 35.33 | 2.540 | 46.6 |
| 36.33 | 2.473 | 46.8 |
| 36.56 | 2.458 | 39.8 |
| 47.48 | 1.915 | 14.0 |
| 50.15 | 1.819 | 20.3 |

2.
For LiO8, a PBE-relaxed structure gives the calculated PXRD pattern in this record (a wavelength of 1.5418 Å).
Intensities are scaled so that the largest is 100.

Structure:
Lattice parameters (Å, degrees): 5.6737 5.6737 4.6493 110.77 110.77 68.88
Fractional coordinates of all 9 atoms:
Li1 0.0000 0.0000 0.0000
O1 0.1888 0.1888 0.8521
O2 0.2526 0.2526 0.1510
O3 0.2746 0.6612 0.8484
O4 0.3388 0.7254 0.1516
O5 0.6612 0.2746 0.8484
O6 0.7254 0.3388 0.1516
O7 0.7474 0.7474 0.8490
O8 0.8112 0.8112 0.1479

Peak list (10 most intense, 5 to 70 degrees two-theta, by angle)
| 2θ (°) | d_spacing | I_rel |
| --- | --- | --- |
| 21.17 | 4.197 | 100.0 |
| 32.83 | 2.728 | 20.9 |
| 34.79 | 2.579 | 12.6 |
| 35.12 | 2.555 | 65.9 |
| 36.09 | 2.489 | 50.3 |
| 38.61 | 2.332 | 34.4 |
| 42.81 | 2.112 | 12.2 |
| 43.65 | 2.074 | 17.6 |
| 46.77 | 1.942 | 8.0 |
| 66.38 | 1.408 | 8.2 |

=====

[1]
The following is a calculated powder diffractogram of LiCoO2. It was derived from a structure optimized by DFT (GGA+U), using Cu Kα X-rays.

Structure:
```
data_LiCoO2
_cell_length_a 2.8429
_cell_length_b 2.8429
_cell_length_c 14.1456
_cell_angle_alpha 90.00
_cell_angle_beta 90.00
_cell_angle_gamma 120.00
_space_group_name_H-M_alt 'R -3 m'
_space_group_IT_number 166
_space_group_name_Hall '-R 3 2"'
loop_
_atom_site_label
_atom_site_type_symbol
_atom_site_fract_x
_atom_site_fract_y
_atom_site_fract_z
Li1 Li 0.0000 0.0000 0.0000
Co1 Co 0.0000 0.0000 0.5000
O1 O 0.0000 0.0000 0.2396
```

Principal peaks in the range 10° ≤ 2θ ≤ 90°, by angle:
2theta	I (rel.)	(hkl)
18.82	100	0 0 3
37.06	38	1 0 1
38.73	14	0 1 2
44.86	68	1 0 4
49.05	12	0 1 5
59.15	14	1 0 7
64.93	18	0 1 8
65.69	19	1 1 0
69.01	14	1 1 3
83.07	9	0 2 4

[2]
The following is a calculated powder diffractogram of ZnCoF4. It was derived from a structure optimized by DFT (GGA+U), using Cu Kα X-rays.

Structure:
```
data_ZnCoF4
_cell_length_a 11.2839
_cell_length_b 5.0760
_cell_length_c 5.0995
_cell_angle_alpha 90.00
_cell_angle_beta 115.84
_cell_angle_gamma 90.00
_space_group_name_H-M_alt 'C 1 2/c 1'
_space_group_IT_number 15
_space_group_name_Hall '-C 2yc'
loop_
_atom_site_label
_atom_site_type_symbol
_atom_site_fract_x
_atom_site_fract_y
_atom_site_fract_z
Zn1 Zn 0.0000 0.2459 0.2500
Co1 Co 0.2500 0.2500 0.0000
F1 F 0.1221 0.4832 0.6537
F2 F 0.1276 0.0036 0.1078
```

Principal peaks in the range 10° ≤ 2θ ≤ 90°, by angle:
2theta	I (rel.)	(hkl)
30.27	94	1 1 1
30.64	100	3 1 -1
50.26	26	2 0 2
50.76	50	2 2 -2
50.87	51	4 2 0
51.23	24	6 0 -2
59.92	13	1 1 -3
60.36	14	1 3 1
60.57	23	5 1 -3
74.80	13	8 0 0

[3]
The following is a calculated powder diffractogram of MgMnV4O12. It was derived from a structure optimized by DFT (GGA+U), using Cu Kα X-rays.

Structure:
```
data_MgMnV4O12
_cell_length_a 6.0976
_cell_length_b 6.8830
_cell_length_c 7.0434
_cell_angle_alpha 80.70
_cell_angle_beta 73.48
_cell_angle_gamma 72.10
_space_group_name_H-M_alt 'P 1'
_space_group_IT_number 1
_space_group_name_Hall 'P 1'
loop_
_atom_site_label
_atom_site_type_symbol
_atom_site_fract_x
_atom_site_fract_y
_atom_site_fract_z
Mg1 Mg 0.0000 0.0000 0.0000
Mn1 Mn 0.4026 0.0513 0.0773
-- stop --

## Activity
Next, quote every line above that contains the word "PXRD".

## Worked solution
For LiO8, a PBE-relaxed structure gives the calculated PXRD pattern in this record (a wavelength of 1.5418 Å).
For LiO8, a PBE-relaxed structure gives the calculated PXRD pattern in this record (a wavelength of 1.5418 Å).